# Assignment
Please give back the whole of the listing further down exactly.
# File
+++
Entry 1:
Formula: C27H23N4O4ReS
Source: the OMol25 dataset
Level of theory: ωB97M-V with the def2-TZVPD basis set

Geometry (Å):
Re  -0.726  0.218  -0.026
S  1.403  -1.144  1.212
O  -0.363  0.823  2.334
O  0.719  0.357  -1.534
O  2.037  -0.786  -2.906
O  -0.374  2.306  -0.058
N  2.608  1.022  0.283
N  -2.444  -0.344  1.039
N  -2.209  0.708  -1.368
N  -0.598  -1.796  -0.767
C  0.197  -4.346  -1.557
C  -0.805  -1.955  5.311
C  3.897  -0.962  0.188
C  -1.594  -2.046  4.196
C  4.732  1.096  -0.728
C  0.122  0.123  4.513
C  -1.533  -1.079  3.171
C  -0.923  3.363  -3.510
C  3.570  1.710  -0.356
C  0.800  -3.219  -2.089
C  -3.683  -0.188  0.286
C  0.022  -0.832  5.483
C  0.383  -1.967  -1.666
C  0.617  4.020  -1.298
C  4.895  -0.271  -0.443
C  -0.578  0.003  3.271
C  1.121  -0.710  -2.114
C  -1.094  2.622  -2.327
C  2.702  -0.305  0.534
C  -2.490  -1.065  2.128
C  0.786  4.687  -2.485
C  -0.284  2.931  -1.177
C  -0.826  -4.166  -0.636
C  -3.377  -0.129  -1.218
C  0.024  4.350  -3.609
C  -1.196  -2.884  -0.280
C  -2.130  1.648  -2.249
H  -1.542  3.134  -4.364
H  5.504  1.645  -1.239
H  -4.123  0.766  0.596
H  -4.401  -0.983  0.509
H  -1.967  -2.720  0.459
H  0.585  -0.734  6.399
H  -1.319  -5.003  -0.170
H  3.981  -2.010  0.422
H  -0.837  -2.725  6.066
H  0.532  -5.334  -1.830
H  1.182  4.304  -0.421
H  5.799  -0.777  -0.738
H  -3.384  -1.669  2.305
H  -4.239  0.260  -1.763
H  -3.140  -1.130  -1.596
H  -2.272  -2.879  4.086
H  0.759  0.987  4.636
H  1.608  -3.263  -2.803
H  3.363  2.748  -0.563
H  1.739  1.494  0.550
H  1.506  5.488  -2.556
H  0.179  4.873  -4.540
H  -2.919  1.734  -2.993

Properties
**Charge**: +1
**Frontier orbital gap (spin up / spin down)**: 0.2183 / 0.2267 Ha
**ΔE to the lowest compared entry with this formula, charge and spin**: 1.500 eV
**Spin multiplicity**: 2

=====

Entry 2:
Formula: C27H24As3CoNS5
Source: the OMol25 dataset
Level of theory: ωB97M-V with the def2-TZVPD basis set

Geometry (Å):
As  2.079  -6.378  -1.064
As  2.130  1.707  -0.654
As  -1.487  0.607  -0.795
Co  3.713  -4.624  0.140
S  -1.272  -1.452  -1.802
S  5.673  -0.453  1.128
S  3.399  -4.674  -2.071
S  2.187  -5.562  1.313
S  3.070  -8.218  -1.105
N  4.660  -2.909  0.348
C  1.795  -0.892  0.264
C  -4.075  0.462  -2.136
C  -2.869  -2.237  0.303
C  -0.387  1.608  -2.196
C  -5.322  0.948  -2.581
C  3.677  5.331  2.117
C  -2.537  -4.444  1.232
C  -1.805  -2.474  -0.535
C  -4.800  3.168  -1.508
C  0.547  2.602  -1.506
C  1.241  -2.004  0.941
C  4.319  4.066  2.083
C  0.219  -0.469  2.514
C  -1.074  -3.695  -0.528
C  1.434  0.399  0.610
C  2.692  3.212  0.514
C  2.599  5.537  1.248
C  -5.668  2.335  -2.305
C  -3.208  -3.194  1.265
C  2.170  4.484  0.422
C  3.822  3.059  1.297
C  -3.194  1.256  -1.449
C  0.492  -1.778  2.121
C  0.584  0.618  1.701
C  -3.586  2.584  -1.154
C  5.012  -1.869  0.719
C  -1.438  -4.688  0.409
H  2.094  6.484  1.116
H  0.199  0.814  -2.683
H  4.357  2.144  1.396
H  -2.818  3.120  -0.623
H  4.067  6.102  2.703
H  1.391  4.728  -0.255
H  -4.011  -3.025  1.979
H  1.487  -3.097  0.683
H  -0.379  -0.290  3.379
H  5.140  3.828  2.744
H  -1.048  2.074  -2.950
H  -0.046  -2.574  2.638
H  1.017  3.366  -2.243
H  2.462  -1.113  -0.633
H  -3.494  -1.311  0.232
H  0.009  3.241  -0.781
H  -6.615  2.673  -2.665
H  0.270  1.612  1.979
H  -0.891  -5.610  0.506
H  -5.176  4.161  -1.262
H  -2.949  -5.223  2.060
H  -5.967  0.242  -3.112
H  -0.175  -3.805  -1.102
H  -3.717  -0.509  -2.405

Properties
**Charge**: -2
**Frontier orbital gap (spin up / spin down)**: 0.1693 / 0.1756 Ha
**ΔE to the lowest compared entry with this formula, charge and spin**: 1.295 eV
**Spin multiplicity**: 4

=====

Entry 3:
Formula: C27H24BCoN4O
Source: the OMol25 dataset
Level of theory: ωB97M-V with the def2-TZVPD basis set

Geometry (Å):
Co  -0.917  -0.132  0.451
O  -0.104  -1.797  4.101
N  -0.622  -1.481  1.870
N  -2.126  -1.755  -0.262
N  0.190  -1.216  -2.067
N  -0.433  1.113  2.085
C  2.186  0.823  0.309
C  -3.028  -4.166  -1.289
C  0.503  0.972  4.279
+++
# Response
Entry 1:
Formula: C27H23N4O4ReS
Source: the OMol25 dataset
Level of theory: ωB97M-V with the def2-TZVPD basis set

Geometry (Å):
Re  -0.726  0.218  -0.026
S  1.403  -1.144  1.212
O  -0.363  0.823  2.334
O  0.719  0.357  -1.534
O  2.037  -0.786  -2.906
O  -0.374  2.306  -0.058
N  2.608  1.022  0.283
N  -2.444  -0.344  1.039
N  -2.209  0.708  -1.368
N  -0.598  -1.796  -0.767
C  0.197  -4.346  -1.557
C  -0.805  -1.955  5.311
C  3.897  -0.962  0.188
C  -1.594  -2.046  4.196
C  4.732  1.096  -0.728
C  0.122  0.123  4.513
C  -1.533  -1.079  3.171
C  -0.923  3.363  -3.510
C  3.570  1.710  -0.356
C  0.800  -3.219  -2.089
C  -3.683  -0.188  0.286
C  0.022  -0.832  5.483
C  0.383  -1.967  -1.666
C  0.617  4.020  -1.298
C  4.895  -0.271  -0.443
C  -0.578  0.003  3.271
C  1.121  -0.710  -2.114
C  -1.094  2.622  -2.327
C  2.702  -0.305  0.534
C  -2.490  -1.065  2.128
C  0.786  4.687  -2.485
C  -0.284  2.931  -1.177
C  -0.826  -4.166  -0.636
C  -3.377  -0.129  -1.218
C  0.024  4.350  -3.609
C  -1.196  -2.884  -0.280
C  -2.130  1.648  -2.249
H  -1.542  3.134  -4.364
H  5.504  1.645  -1.239
H  -4.123  0.766  0.596
H  -4.401  -0.983  0.509
H  -1.967  -2.720  0.459
H  0.585  -0.734  6.399
H  -1.319  -5.003  -0.170
H  3.981  -2.010  0.422
H  -0.837  -2.725  6.066
H  0.532  -5.334  -1.830
H  1.182  4.304  -0.421
H  5.799  -0.777  -0.738
H  -3.384  -1.669  2.305
H  -4.239  0.260  -1.763
H  -3.140  -1.130  -1.596
H  -2.272  -2.879  4.086
H  0.759  0.987  4.636
H  1.608  -3.263  -2.803
H  3.363  2.748  -0.563
H  1.739  1.494  0.550
H  1.506  5.488  -2.556
H  0.179  4.873  -4.540
H  -2.919  1.734  -2.993

Properties
**Charge**: +1
**Frontier orbital gap (spin up / spin down)**: 0.2183 / 0.2267 Ha
**ΔE to the lowest compared entry with this formula, charge and spin**: 1.500 eV
**Spin multiplicity**: 2

=====

Entry 2:
Formula: C27H24As3CoNS5
Source: the OMol25 dataset
Level of theory: ωB97M-V with the def2-TZVPD basis set

Geometry (Å):
As  2.079  -6.378  -1.064
As  2.130  1.707  -0.654
As  -1.487  0.607  -0.795
Co  3.713  -4.624  0.140
S  -1.272  -1.452  -1.802
S  5.673  -0.453  1.128
S  3.399  -4.674  -2.071
S  2.187  -5.562  1.313
S  3.070  -8.218  -1.105
N  4.660  -2.909  0.348
C  1.795  -0.892  0.264
C  -4.075  0.462  -2.136
C  -2.869  -2.237  0.303
C  -0.387  1.608  -2.196
C  -5.322  0.948  -2.581
C  3.677  5.331  2.117
C  -2.537  -4.444  1.232
C  -1.805  -2.474  -0.535
C  -4.800  3.168  -1.508
C  0.547  2.602  -1.506
C  1.241  -2.004  0.941
C  4.319  4.066  2.083
C  0.219  -0.469  2.514
C  -1.074  -3.695  -0.528
C  1.434  0.399  0.610
C  2.692  3.212  0.514
C  2.599  5.537  1.248
C  -5.668  2.335  -2.305
C  -3.208  -3.194  1.265
C  2.170  4.484  0.422
C  3.822  3.059  1.297
C  -3.194  1.256  -1.449
C  0.492  -1.778  2.121
C  0.584  0.618  1.701
C  -3.586  2.584  -1.154
C  5.012  -1.869  0.719
C  -1.438  -4.688  0.409
H  2.094  6.484  1.116
H  0.199  0.814  -2.683
H  4.357  2.144  1.396
H  -2.818  3.120  -0.623
H  4.067  6.102  2.703
H  1.391  4.728  -0.255
H  -4.011  -3.025  1.979
H  1.487  -3.097  0.683
H  -0.379  -0.290  3.379
H  5.140  3.828  2.744
H  -1.048  2.074  -2.950
H  -0.046  -2.574  2.638
H  1.017  3.366  -2.243
H  2.462  -1.113  -0.633
H  -3.494  -1.311  0.232
H  0.009  3.241  -0.781
H  -6.615  2.673  -2.665
H  0.270  1.612  1.979
H  -0.891  -5.610  0.506
H  -5.176  4.161  -1.262
H  -2.949  -5.223  2.060
H  -5.967  0.242  -3.112
H  -0.175  -3.805  -1.102
H  -3.717  -0.509  -2.405

Properties
**Charge**: -2
**Frontier orbital gap (spin up / spin down)**: 0.1693 / 0.1756 Ha
**ΔE to the lowest compared entry with this formula, charge and spin**: 1.295 eV
**Spin multiplicity**: 4

=====

Entry 3:
Formula: C27H24BCoN4O
Source: the OMol25 dataset
Level of theory: ωB97M-V with the def2-TZVPD basis set

Geometry (Å):
Co  -0.917  -0.132  0.451
O  -0.104  -1.797  4.101
N  -0.622  -1.481  1.870
N  -2.126  -1.755  -0.262
N  0.190  -1.216  -2.067
N  -0.433  1.113  2.085
C  2.186  0.823  0.309
C  -3.028  -4.166  -1.289
C  0.503  0.972  4.279